North America has delivered double digit growth in volume and value annually over recent years, with receipts growing at a faster rate than from other
markets. The number of nights spent in the country by North American visitors increased by 50% between 2012 and 2016 and have yielded a higher
average daily expenditure than most other nationalities. Based on arrivals year-to-date it is apparent that were it not for the continuing robust visitor
growth from North America, along with other long haul markets, Ireland would be facing a drop in earnings in 2017. The downturn in visitors from Britain is
projected to cost up to €100 million drop in earnings, while it is likely that the North American market will generate an extra €200 million thereby cushioning the
decline in revenue from the UK and what appears to be a lack lustre year from mainland Europe.

Record 1
Starting from the GGA-PBE geometry in Alexandria, the XRD peak list of K2BaAgF6 was calculated for Cu Kα, 1.54184 Å.
Lines closer than 0.1° are merged.

a = 6.360 Å, b = 6.431 Å, c = 11.222 Å
α = 90.00°, β = 119.45°, γ = 90.00°
Fractional coordinates of all 20 atoms:
K1 0.216 0.050 0.239
K2 0.216 0.450 0.739
K3 0.784 0.550 0.261
K4 0.784 0.950 0.761
Ba1 0.500 0.000 0.000
Ba2 0.500 0.500 0.500
Ag1 0.000 0.000 0.500
Ag2 0.000 0.500 0.000
F1 0.117 0.230 0.936
F2 0.117 0.270 0.436
F3 0.188 0.694 0.927
F4 0.188 0.806 0.427
F5 0.383 0.071 0.751
F6 0.383 0.429 0.251
F7 0.617 0.571 0.749
F8 0.617 0.929 0.249
F9 0.812 0.194 0.573
F10 0.812 0.306 0.073
F11 0.883 0.730 0.564
F12 0.883 0.770 0.064

The 6 most intense peaks (2θ = 10–90°), by angle:
18.16 deg, rel. 35
19.67 deg, rel. 68
26.04 deg, rel. 90
27.72 deg, rel. 100
28.16 deg, rel. 26
39.95 deg, rel. 40

Record 2
Starting from the GGA-PBE geometry in Alexandria, the XRD peak list of ErPbAu2 was calculated for Cu Kα, 1.54184 Å.
Lines closer than 0.1° are merged.

a = 3.654 Å, b = 3.654 Å, c = 7.026 Å
α = 90.00°, β = 90.00°, γ = 90.00°
Fractional coordinates of all 4 atoms:
Er1 0.000 0.000 0.000
Pb1 0.000 0.000 0.500
Au1 0.500 0.500 0.220
Au2 0.500 0.500 0.780

The 6 most intense peaks (2θ = 10–90°), by angle:
34.72 deg, rel. 57
35.45 deg, rel. 100
49.91 deg, rel. 21
62.70 deg, rel. 39
64.11 deg, rel. 15
83.69 deg, rel. 10

Record 3
Starting from the GGA-PBE geometry in Alexandria, the XRD peak list of Tl3SeO4 was calculated for Cu Kα, 1.54184 Å.
Lines closer than 0.1° are merged.

a = 6.178 Å, b = 6.178 Å, c = 6.178 Å
α = 118.93°, β = 95.04°, γ = 115.36°
Fractional coordinates of all 8 atoms:
Tl1 0.000 0.000 0.000
Tl2 0.221 0.463 0.757
Tl3 0.706 0.463 0.243
Se1 0.422 0.922 0.500
O1 0.335 0.123 0.789
O2 0.335 0.546 0.211
O3 0.411 0.077 0.335
O4 0.742 0.077 0.665

The 6 most intense peaks (2θ = 10–90°), by angle:
26.99 deg, rel. 30
28.43 deg, rel. 29
29.03 deg, rel. 100
39.61 deg, rel. 23
48.97 deg, rel. 22
50.72 deg, rel. 23

Record 4
Starting from the GGA-PBE geometry in Alexandria, the XRD peak list of SnBiF6 was calculated for Cu Kα, 1.54184 Å.
Lines closer than 0.1° are merged.

a = 5.183 Å, b = 5.183 Å, c = 5.687 Å
α = 96.18°, β = 96.18°, γ = 112.96°
Fractional coordinates of all 8 atoms:
Sn1 0.000 0.000 0.000
Bi1 0.500 0.500 0.500
F1 0.073 0.387 0.251
F2 0.256 0.256 0.770
F3 0.387 0.073 0.251
F4 0.613 0.927 0.749
F5 0.744 0.744 0.230
F6 0.927 0.613 0.749

The 6 most intense peaks (2θ = 10–90°), by angle:
20.55 deg, rel. 65
22.64 deg, rel. 100
26.70 deg, rel. 64
38.23 deg, rel. 25
38.42 deg, rel. 25
40.00 deg, rel. 41

Record 5
Starting from the GGA-PBE geometry in Alexandria, the XRD peak list of Y3TeP2 was calculated for Cu Kα, 1.54184 Å.
Lines closer than 0.1° are merged.

a = 7.948 Å, b = 7.948 Å, c = 7.948 Å
α = 125.51°, β = 87.53°, γ = 117.53°
Fractional coordinates of all 12 atoms:
Y1 0.000 0.233 0.233
Y2 0.000 0.767 0.767
Y3 0.500 0.000 0.000
Y4 0.500 0.233 0.733
The article goes on:

Looking to 2018 and beyond, the Irish tourism industry is faced with the question of how best to ensure that valuable growth from North America can be sustained.
Continued growth from the North Amerian market is essential to offset the uncertain and difficult trading environment in Ireland’s short haul source markets as Brexit continues to threaten
a collapse of the demand from Britain and euro spending tourists find the UK a more attractive value destination to Ireland.

Ireland welcomed an estimated 1.48 million visitors from North America in 2016, 1,294,000 US residents and 183,000 Canadian residents. Expenditure by North American visitors in the country was estimated at €1.33 billion in 2016.
Projections for the current year suggest circa 1.7 million visitors spending almost €1.5 billion, based on double digit growth year to date.
Volume and revenue growth from North America continues to outpace the overall growth in overseas tourists to Ireland. Visitors from this market while
accounting for close to 17% of total visitors to the country generate almost 30% of tourism receipts. Tourism earnings from North America have overtaken
the receipts from Britain, the largest volume market, since 2014 and are closing the gap on receipts from mainland Europeans.
North American visitors are especially valuable and tick the boxes of most strategic objectives for the Irish tourism industry. Compared to other visitors the distinguishing
characteristics include:
- Big spenders, with daily expenditure higher than most other nationalities;
- The majority (70%) specifically chose Ireland for a vacation, a higher proportion than from any other market;
- Expanding air lift as carriers invest in transatlantic routes;
- Good customers for hotels, guesthouses and B&Bs, due to a higher incidence of use of paid serviced accommodation;
- Good geographic spread throughout the country with touring holidays particularly popular using hired cars, coaches and public transport (although
the incidence of ‘Dublin only’ visits from the market is increasing);
- Almost 30% purchase an inclusive tour arrangement;
- Excellent well established in-market distribution networks;
- Good seasonal spread of demand; and
- Source of high end convention and incentive travel groups

The relative importance of North America and the growing dependence of Irish tourism on the market is now clearly evident.
In volume terms growth from North American has outpaced the overall growth in visitors to Ireland with the market’s share of total arrivals
increasing from 13% in 2008 to 17% in 2016 (projected to increase further in 2017). US visitors now account for 15% of total visits up from 11% in
The North American market is more significant in value than in volume terms. Receipts from North American visitors have doubled over the period
2008-2016, while total overseas tourism receipts have increased by 20%. Last year North American tourism receipts accounted for 29% of total
tourism income, compared 17% share in 2008. Earnings from the market in 2017 are expected to be close to €1.5bn.
Based on current performance annual earnings from the market in the current year will be double what they were in 2012, following five years of sustained
annual growth in demand.

North Americans are an increasingly important share of discretionary visitors to Ireland – now accounting for almost one in four (24%) holiday visitors,
having grown from a 17% share in 2008. The overall number of overseas holiday visits has increased by 23% over the period while holiday visits from
North America grew by a remarkable 70%.

In recent years Ireland has significantly outperformed the overall US to Europe travel market as well as travel from the US to Great Britain, Ireland's closest
competitor and major gateway for Americans visiting Europe.
While demand for each of the destinations paralleled each other closely over the period of the economic downturn and recovery between 2008 and 2012, it is evident that Ireland
began to gain market share with demand growing at a faster pace from 2013 onward. Air access increases over the last 3 years have coincided with a strengthened US dollar and this has driven strong growth in North American tourism traffic to Ireland. Effective marketing of Ireland as a destination has also been impactful during this period.

Factors underpinning growth from North America
Other than the economic downturn following the financial crisis of 2008 and 2009, the US economy has been consistently in an expansionist phase.
Disposable personal income has increased each quarter without interruption since Q1 2013.
Latest data shows that GDP growth rebounded a little more than initially reported in Q2 2017, as real GDP grew 3.1%, up from 1.2% in the first quarter,
according to the third estimate from the Bureau of Economic Analysis. Consumer spending gains accelerated and accounted for nearly three-quarters of
GDP growth. Fixed investment trade and inventories also made positive contributions. Real disposable income increased 3.3% after rising 2.9% in the first
Economic growth is projected to continue to pick up in 2018 as headwinds from past exchange rate appreciations abate and support from fiscal policy
begins to appear. Consumer spending is expected to benefit from continued, though slowing, employment gains and, as the labour market tightens,
stronger wage growth. With inflation nearing its target and unemployment edging down further, monetary policy stimulus has begun to be withdrawn
gradually. As growth picks up, interest rates are projected to rise to contain inflationary pressures and reduce the risk of financial-market distortions. The
Administration and Congress are formulating plans to cut taxes and boost infrastructure spending. The latest Congressional Budget Office’s projection
assumes no spending increase at the federal level, but a tax reform is projected, which will support consumer spending and investment in 2018 and beyond.
US Consumer Sentiment Jumps to Near 14-Year High
Consumer sentiment rose to 101.1 in October 2017 from 95.1 in September, well above market expectations and the highest level since January 2004,
according to the latest University of Michigan index. The October gain would appear to have been broadly shared across all age and income subgroups,
irrespective of political viewpoints, suggesting a robust outlook for consumer spending that extends into 2018. While the surge indicates greater optimism
about the future course of the economy, it also reflects an unmistakable sense among consumers that economic prospects are now about as good as could
be expected. The outlook is supported by a moderation in the expected pace of growth in both personal finances and the overall economy, accompanied by
a growing sense that, even with this moderation, it would still mean the continuation of positive economic times.

On July 15 2008, following the start of the financial crisis the dollar euro exchange rate hit a 10 year low at €0.625 but recovered to hover close to €0.70 in
the aftermath of Lehman Brothers collapse. A significant strengthening of the dollar vs the euro has occurred over the past 3 years at close to €0.90, an effective
30% increase in value. The US dollar reached a 10 year high against the euro in December 2016 buying €0.965. The average over the ten year period was €0.7805. However, since the start of 2017, the dollar has fallen back in value to buying an average of €0.84 during September.

The expansion of direct air services from the US and Canada over recent years has provided a driver for double digit growth in visitor demand. Ireland has
enjoyed annual increases in capacity in excess of growth in airline services between North America and Europe. Over the past 5 years capacity has more
than doubled (+114%). In summer 2017 Ireland was served by 6 airlines from 14 airports in the US (with Miami being added in September), while 5 airlines
provided service from 5 airports in Canada as capacity and frequency almost tripled over recent years.
Aer Lingus has led the expansion of transatlantic air services, reintroducing west coast gateways, increasing frequencies on established routes and opening
new gateways, while US carriers also added capacity. 2017 saw the arrival of Norwegian International into the Ireland-US market, as well as intensive promotion
of new low fare indirect routings.

Unrelated to this piece: calculated crystals:
┌──
Computed PXRD pattern
Compound: SnB2O4
Radiation: Cu Ka
Structure: a PBE-relaxed structure
Peak positions follow from Bragg's law for the DFT cell and can differ from measured ones.

Peak list (8 most intense, 2θ from 10° to 90°, by intensity)
d (Å)	intensity
3.690	100
2.826	100
3.098	84
2.085	43
1.846	38
1.888	32
2.368	31
1.701	28

```
data_SnB2O4
_chemical_formula_sum 'Sn2 B4 O8'
_space_group_name_H-M_alt 'P 1'
_space_group_IT_number 1
_cell_length_a 4.8182
_cell_length_b 4.8182
_cell_length_c 8.7889
_cell_angle_alpha 90.00
_cell_angle_beta 90.00
_cell_angle_gamma 130.01
loop_
_space_group_symop_operation_xyz
'x,y,z'
loop_
_atom_site_label
_atom_site_fract_x
_atom_site_fract_y
_atom_site_fract_z
Sn1 0.0000 0.0000 0.2500
Sn2 0.0000 0.0000 0.7500
B1 0.2555 0.7447 0.0000
B2 0.2553 0.7445 0.5000
B3 0.7445 0.2553 0.0000
B4 0.7447 0.2555 0.5000
O1 0.0000 0.5000 0.3754
O2 0.0000 0.5000 0.6246
O3 0.1183 0.3681 0.0000
O4 0.3681 0.1183 0.5000
O5 0.5000 0.0000 0.1246
O6 0.5000 0.0000 0.8754
O7 0.6319 0.8817 0.5000
O8 0.8817 0.6319 0.0000
```
└──

Aer Lingus hub strategy for transatlantic traffic is supporting an ever expanding sustainable network of routes and frequency which is benefitting inbound
tourism. Dublin Airport has seen a 67% increase in transatlantic traffic over the past five years to become the fifth largest airport in Europe for North
American connectivity after London Heathrow, Paris CDG, Frankfurt and Amsterdam.
Aer Lingus is delivering on its promise to further build connectivity between Europe and North America with the announcement of a record trans-Atlantic
network for summer 2018, including a new service to Philadelphia. The growth is built on the back of an investment from parent company International
Airlines Group (IAG) in new aircraft: four new long haul aircraft have already enabled new routes to Hartford, Los Angeles, Miami and Newark over the past
24 months. The airline is planning its largest ever transatlantic programme in 2018 with 2.75 million seats and is targeting sustained growth, contingent on
adequate infrastructure at Dublin Airport. Aer Lingus is taking delivery of a fleet of eight A321neo (LR)s aircraft between 2019 and 2020. The new aircraft would give
Aer Lingus the potential to go from the 2.5 million transatlantic passengers it carries today to 4.5 million passengers annually.
As Irish tourism braces itself for cooler Brexit winds, tourism traffic from North America is set to grow further in importance. The forthcoming agency-industry strategic review of the US market is timely as North America’s performance is critical to Irish tourism prospects in the years ahead.
